**Activity**
What is needed: retype every line underneath that contains the word "SCAN".
**Contents**
=====
[1]
## AlMoOs4 (meta-GGA SCAN)

Data for AlMoOs4 at its PBEsol-relaxed geometry.

Lattice parameters (Å, degrees): 5.070 5.070 5.070 60.00 60.00 60.00
Element x y z (fractional)
Al: 0.000 0.000 0.000
Mo: 0.250 0.250 0.250
Os: 0.124 0.625 0.625
Os: 0.625 0.124 0.625
Os: 0.625 0.625 0.124
Os: 0.625 0.625 0.625

Properties
- E_form: 0.403 eV per atom
- Electronic total energy: -327.7 eV/cell

***

[2]
## Zr3AlIr (meta-GGA SCAN)

Data for Zr3AlIr at its PBEsol-relaxed geometry.

Lattice parameters (Å, degrees): 4.977 4.977 4.977 90.00 90.00 90.00
Element x y z (fractional)
Zr: 0.000 0.000 0.500
Zr: 0.000 0.500 0.000
Zr: 0.500 0.000 0.000
Al: 0.500 0.500 0.500
Ir: 0.000 0.000 0.000

Properties
- E_form: -0.008 eV per atom
- Electronic total energy: -171.0 eV/cell

***

[3]
## Tb4Mg3Co2 (meta-GGA SCAN)

Data for Tb4Mg3Co2 at its PBEsol-relaxed geometry.

Lattice parameters (Å, degrees): 7.413 3.660 8.073 90.00 109.92 90.00
Element x y z (fractional)
Tb: 0.098 0.000 0.226
Tb: 0.399 0.000 0.676
Tb: 0.601 0.000 0.324
Tb: 0.902 0.000 0.774
Mg: 0.000 0.500 0.500
Mg: 0.293 0.500 0.001
Mg: 0.707 0.500 0.999
Co: 0.350 0.500 0.391
Co: 0.650 0.500 0.609

Properties
- E_form: -0.127 eV per atom
- Electronic total energy: -237.7 eV/cell

***

[4]
## Sc2CrRe (meta-GGA SCAN)

Data for Sc2CrRe at its PBEsol-relaxed geometry.

Lattice parameters (Å, degrees): 4.480 4.480 4.480 60.00 60.00 60.00
Element x y z (fractional)
Sc: 0.000 0.000 0.000
Sc: 0.250 0.250 0.250
Cr: 0.500 0.500 0.500
Re: 0.750 0.750 0.750

Properties
- E_form: 0.154 eV per atom
- Electronic total energy: -117.3 eV/cell

***

[5]
## Mn24Co5 (meta-GGA SCAN)

Data for Mn24Co5 at its PBEsol-relaxed geometry.

Lattice parameters (Å, degrees): 7.320 7.320 7.320 109.47 109.47 109.47
Element x y z (fractional)
Mn: 0.000 0.321 0.608
Mn: 0.000 0.608 0.321
Mn: 0.000 0.628 0.806
Mn: 0.000 0.806 0.628
Mn: 0.178 0.372 0.372
Mn: 0.194 0.194 0.822
Mn: 0.194 0.822 0.194
Mn: 0.287 0.679 0.679
Mn: 0.321 0.000 0.608
Mn: 0.321 0.608 0.000
Mn: 0.372 0.178 0.372
Mn: 0.372 0.372 0.178
Mn: 0.392 0.392 0.713
Mn: 0.392 0.713 0.392
Mn: 0.608 0.000 0.321
Mn: 0.608 0.321 0.000
Mn: 0.628 0.000 0.806
Mn: 0.628 0.806 0.000
Mn: 0.679 0.287 0.679
Mn: 0.679 0.679 0.287
Mn: 0.713 0.392 0.392
Mn: 0.806 0.000 0.628
Mn: 0.806 0.628 0.000
Mn: 0.822 0.194 0.194
Co: 0.000 0.000 0.000
Co: 0.000 0.000 0.356
Co: 0.000 0.356 0.000
Co: 0.356 0.000 0.000
Co: 0.644 0.644 0.644

Properties
- E_form: 0.107 eV per atom
- Electronic total energy: -521.5 eV/cell

***

[6]
## CrHgIrRh2 (meta-GGA SCAN)

Data for CrHgIrRh2 at its PBEsol-relaxed geometry.

Lattice parameters (Å, degrees): 4.644 4.644 5.064 90.00 90.00 90.00
Element x y z (fractional)
Cr: 0.000 0.000 0.000
Hg: 0.500 0.500 0.000
Ir: 0.500 0.500 0.500
Rh: 0.000 0.500 0.500
Rh: 0.500 0.000 0.500

Properties
- E_form: 1.202 eV per atom
- Electronic total energy: -219.2 eV/cell

***

[7]
## La2CdPb (meta-GGA SCAN)

Data for La2CdPb at its PBEsol-relaxed geometry.

Lattice parameters (Å, degrees): 6.218 6.218 6.218 135.84 135.84 64.22
Element x y z (fractional)
La: 0.000 0.000 0.000
La: 0.750 0.250 0.500
Cd: 0.250 0.750 0.500
Pb: 0.500 0.500 0.000

Properties
- E_form: -0.584 eV per atom
- Electronic total energy: -194.7 eV/cell

***

[8]
## ReF6 (meta-GGA SCAN)

Data for ReF6 at its PBEsol-relaxed geometry.

Lattice parameters (Å, degrees): 5.561 5.561 5.561 109.47 109.47 109.47
Element x y z (fractional)
Re: 0.000 0.000 0.000
F: 0.000 0.289 0.289
F: 0.000 0.711 0.711
F: 0.289 0.000 0.289
F: 0.289 0.289 0.000
F: 0.711 0.000 0.711
F: 0.711 0.711 0.000

Properties
- Electronic total energy: -106.9 eV/cell
- Uncorrected formation energy: -14.60 eV/f.u.

***

[9]
## MnZn2Co (meta-GGA SCAN)

Data for MnZn2Co at its PBEsol-relaxed geometry.

Lattice parameters (Å, degrees): 2.554 2.554 7.184 90.00 90.00 90.00
Element x y z (fractional)
Mn: 0.000 0.000 0.000
Zn: 0.000 0.000 0.547
Zn: 0.500 0.500 0.258
Co: 0.500 0.500 0.794

Properties
- E_form: 0.053 eV per atom
=====
**Done**
## AlMoOs4 (meta-GGA SCAN)
## Zr3AlIr (meta-GGA SCAN)
## Tb4Mg3Co2 (meta-GGA SCAN)
## Sc2CrRe (meta-GGA SCAN)
## Mn24Co5 (meta-GGA SCAN)
## CrHgIrRh2 (meta-GGA SCAN)
## La2CdPb (meta-GGA SCAN)
## ReF6 (meta-GGA SCAN)
## MnZn2Co (meta-GGA SCAN)